In this guide we are going to explain how to beat the Rancor in Jedi Survivor.

When you reach the planet of Koboh in Star Wars: Jedi Survivor, you’ll probably encounter the Rancor pretty soon after.

This is a legendary enemy that will give you by far the toughest fight in the game so far.

The Rancor is dangerous because it has fast attacks that deal very high damage if they hit you – and he also has a grab attack where he eats you – there’s nothing you can do if you let yourself get grabbed.

Below we’ll explain where you can find the Rancor and how to beat it.

Where to Find the Rancor in Jedi Survivor

The Rancor is on the planet of Koboh, in a cave called Sodden Grotto. Sodden Grotto can be found by turning left just before you reach the town where you need to meet up with Greez – the correct area of the map is called Hunter’s Quarry.

Make your way down through the cave, and you’ll find some large skeletons when you’re in the right area. There’s a meditation point next to the final room – it’s a good idea to save your game here so you don’t have to run a long way to get back to the fight if you fail it.

Drop down into the final room and the Rancor fight will begin.

Jedi Survivor Rancor Location

How to Beat the Rancor in Jedi Survivor

At first the Rancor boss fight can seem almost unfair. This is because it’s a considerable difficulty spike compared to anything you’ve done up to this point.

However there are some things you can do to make the fight easier, and below we’ll share our tips.

Learn the Rancor’s Attacks

It might take a few tries to begin learning the animations that the Rancor does before each attack, but doing this will help you to react approproately during the fight. The most important things to look out for are:

  • Lunge and Grab: The Rancor will glow red for a moment before lunging forward and grabbing. If you don’t dodge this you will be eaten, with no way of breaking free, thus ending the fight for you.
  • Ground Slam: The Rancor will glow red, raise both arms in the air and then slam the ground. This sends a wave of earth at you in a line, dealing high damage if you’re hit. You can dodge to the side to avoid this.
  • Ground Stomp: The Rancor will stomp the ground, sending out an AOE shockwave that deals heavy damage. This is normally followed up by a second stomp, so be careful of rushing in to attack too soon.

There are some other attacks that the Rancor can do, but if you follow our strategy below then he will almost never do them, so you mainly have to watch out for the three mentioned above.

Rancor Lunge Attack

Rancor Lunge Attack

Dodge Everything

While the Rancor does have a couple of swipe attacks that can technically be blocked, doing so consumes so much of your stamina that you run a serious risk of being stunned anyway.

It’s therefore best to begin familiarising yourself with the Rancor’s attacks and dodging all of them. Like all enemies in the game, the Rancor will briefly glow red just before it performs an attack that can’t be blocked.

Rancor Slam Attack

Rancor Slam Attack

Keep a Good Distance

**The article is interrupted by crystal structures:**
Entry 1:
This record from the Alexandria database describes a relaxed SiP2RuO crystal. The functional is PBE-GGA.

Cell lengths 4.7614, 4.7614, 3.6400 Å; angles 90.00, 90.00, 90.00 degrees
Last column: nearest neighbours and their distance in Å.
Fractional coordinates of all 5 atoms:
Si 0.0000 0.0000 0.0000  8 P 3.00
P 0.0000 0.5000 0.5000  2 Ru 2.38
P 0.5000 0.0000 0.5000  2 Ru 2.38
Ru 0.5000 0.5000 0.5000  2 O 1.82
O 0.5000 0.5000 0.0000  2 Ru 1.82

Raw formation energy: 317.6 meV per atom
Density: 4.17 g cm⁻³
Symmetry: P4/mmm
Relative energy among the computed polymorphs: 281.1 meV per atom
DOS(E_F): 4.82 states/eV per cell
Total DFT energy (no corrections): -28.89 eV/cell

=====

Entry 2:
This record from the Alexandria database describes a relaxed SnP2RuO crystal. The functional is PBE-GGA.

Cell lengths 5.1029, 5.1029, 3.9061 Å; angles 90.00, 90.00, 90.00 degrees
Last column: nearest neighbours and their distance in Å.
Fractional coordinates of all 5 atoms:
Sn 0.0000 0.0000 0.0000  2 O 1.95
P 0.0000 0.5000 0.0000  2 Sn 2.55
P 0.5000 0.0000 0.0000  2 Sn 2.55
Ru 0.5000 0.5000 0.5000  8 P 3.21
O 0.0000 0.0000 0.5000  2 Sn 1.95

Raw formation energy: 969.8 meV per atom
Density: 4.86 g cm⁻³
Symmetry: P4/mmm
Relative energy among the computed polymorphs: 935.9 meV per atom
DOS(E_F): 6.62 states/eV per cell
Total DFT energy (no corrections): -24.21 eV/cell

=====

Entry 3:
This record from the Alexandria database describes a relaxed SnP2RuO crystal. The functional is PBE-GGA.

Cell lengths 4.9435, 4.9435, 3.7281 Å; angles 90.00, 90.00, 90.00 degrees
Last column: nearest neighbours and their distance in Å.
Fractional coordinates of all 5 atoms:
Sn 0.0000 0.0000 0.0000  8 P 3.10
P 0.0000 0.5000 0.5000  2 Ru 2.47
P 0.5000 0.0000 0.5000  2 Ru 2.47
Ru 0.5000 0.5000 0.5000  2 O 1.86
O 0.5000 0.5000 0.0000  2 Ru 1.86

Raw formation energy: 33.9 meV per atom
Density: 5.43 g cm⁻³
Symmetry: P4/mmm
Relative energy among the computed polymorphs: 0.0 meV per atom
DOS(E_F): 5.92 states/eV per cell
Total DFT energy (no corrections): -28.89 eV/cell

=====

Entry 4:
This record from the Alexandria database describes a relaxed TaPRuO2 crystal. The functional is PBE-GGA.

Cell lengths 3.7359, 3.7359, 5.2791 Å; angles 90.00, 90.00, 90.00 degrees
Last column: nearest neighbours and their distance in Å.
Fractional coordinates of all 5 atoms:
Ta 0.0000 0.0000 0.0000  4 P 2.64
P 0.5000 0.5000 0.0000  2 Ru 2.64, 4 Ta 2.64
Ru 0.5000 0.5000 0.5000  4 O 1.87
O 0.0000 0.5000 0.5000  2 Ru 1.87
O 0.5000 0.0000 0.5000  2 Ru 1.87

Raw formation energy: -37.3 meV per atom
Density: 7.77 g cm⁻³
Symmetry: P4/mmm
Relative energy among the computed polymorphs: 851.4 meV per atom
DOS(E_F): 6.84 states/eV per cell
Total DFT energy (no corrections): -36.64 eV/cell

=====

Entry 5:
This record from the Alexandria database describes a relaxed TaPRuO2 crystal. The functional is PBE-GGA.

Cell lengths 3.8190, 3.8190, 5.4274 Å; angles 90.00, 90.00, 90.00 degrees

The most important thing to do when fighting the Rancor is to keep a good distance at all times during the fight. This gives you time to react and avoid the attacks. Many of the Rancor’s attacks will hit a large area in front of or around him, which is why we need this extra space.

While the Rancor’s actual attacks are pretty fast, in general he lumbers around quite slowly and takes a few seconds to recover after attacking you. That gives you time to close up to melee range after dodging an attack, get in two or three hits and then get some distance again. Be careful not to linger in melee range too long, as things can go very wrong very quickly if you do that.

Be Patient

It takes a little while to finish the boss fight with the strategy explained above, but it’s definitely worth doing it this way.

If you try to rush then you are most likely just going to find yourself getting caught by the Rancor’s attacks and quickly stomped, swiped or eaten to death.

Rancor Stomp Attack

Rancor Stomp Attack

Have a Good Framerate

If your game is running at a low frame rate, then it’s going to make this fight quite a bit harder because you’ll have less time to react. It’s really important to dodge quickly to make sure you avoid the Rancor’s attacks, and having a low framerate makes this a lot harder.

So if your game is visibly choppy or stuttering a lot, then it’s probably a good idea to turn down the graphics or reduce the resolution. If you have Raytracing on, then turning it off is generally the best way to improve your performance.

Now you have some extra tips for how to beat the Rancor in Jedi Survivor. We hope you found the guide helpful.